[Listing]
=====
Entry 1:
Density functional theory data (the ωB97M-V functional and the def2-TZVPD basis) for the molecule CH5OP.

Output
Electronic energy = -457.66082 Ha
HOMO-LUMO gap = 0.360 Ha
Energy relative to the best compared isomer or geometry (same formula, charge and spin) = 12.8 kcal per mole
SMILES = CPO
HOMO level = -0.3313 hartree
Maximum force = 5.3 eV/Å

Cartesian coordinates (Å):
1 C 0.315 1.044 0.085
2 O 0.367 -1.570 -0.347
3 P -0.667 -0.417 -0.846
4 H 1.251 0.936 -0.563
5 H 0.440 0.677 1.035
6 H -0.297 2.027 -0.066
7 H 0.269 -2.104 0.466
8 H -1.678 -0.592 0.236

=====

Entry 2:
Density functional theory data (the ωB97M-V functional and the def2-TZVPD basis) for the molecule H2O2.

Output
Electronic energy = -151.56646 Ha
HOMO-LUMO gap = 0.429 Ha
Energy relative to the best compared isomer or geometry (same formula, charge and spin) = 1.5 kcal per mole
SMILES = OO
HOMO level = -0.3852 hartree
Maximum force = 2.9 eV/Å

Cartesian coordinates (Å):
1 H -1.014 0.709 0.185
2 H 0.956 -0.675 0.222
3 O -0.668 -0.139 -0.204
4 O 0.727 0.106 -0.203

=====

Entry 3:
Density functional theory data (the ωB97M-V functional and the def2-TZVPD basis) for C34H39BN12OTi as an isolated structure.

Output
Expectation value of S² = 0.754
Electronic energy = -2925.66232 Ha
HOMO-LUMO gap (spin up / spin down) = 0.262 / 0.263 Ha
Net charge = +1
Multiplicity = 2
Energy relative to the best compared isomer or geometry (same formula, charge and spin) = 0.0 kcal per mole
HOMO level (spin up / spin down) = -0.3450 / -0.3456 hartree
Maximum force = 0.9 eV/Å

Cartesian coordinates (Å):
1 Ti 0.341 0.121 -0.557
2 C -1.838 -1.795 2.717
3 C -0.757 -1.703 1.846
4 N -0.912 -0.677 1.012
5 N -2.094 -0.094 1.323
6 C -2.659 -0.745 2.355
7 B -2.512 1.271 0.727
8 N -1.379 2.314 1.016
9 C -1.410 3.609 1.372
10 C -0.205 4.193 1.025
11 C 0.512 3.160 0.424
12 N -0.186 2.028 0.438
13 N -2.624 1.210 -0.810
14 C -3.537 1.851 -1.570
15 C -3.071 1.923 -2.859
16 C -1.817 1.312 -2.804
17 N -1.540 0.889 -1.578
18 N -3.846 1.656 1.329
19 C -5.041 1.055 1.098
20 C -5.960 1.581 1.971
21 C -5.220 2.508 2.724
22 N -3.957 2.543 2.343
23 H -2.011 -2.524 3.486
24 H 0.117 -2.328 1.754
25 H -3.599 -0.416 2.760
26 H -2.289 4.009 1.841
27 H 0.079 5.220 1.158
28 H 1.477 3.159 -0.051
29 H -4.456 2.201 -1.139
30 H -3.565 2.341 -3.716
31 H -1.121 1.133 -3.604
32 H -5.138 0.295 0.342
33 H -7.002 1.334 2.050
34 H -5.553 3.150 3.521
35 N 3.905 1.980 -1.864
36 C 2.980 0.985 -1.954
37 N 3.355 -0.219 -2.386
38 O 1.786 1.233 -1.636
39 H 4.772 1.904 -2.372
40 H 3.511 2.905 -1.815
41 H 4.306 -0.467 -2.594
42 H 2.639 -0.932 -2.423
43 C 3.352 2.408 2.342
44 N 2.521 1.850 3.449
45 C 3.373 1.476 4.611
46 C 1.578 0.717 2.991
47 C 2.272 -0.382 2.241
48 C 3.054 -1.287 2.965
49 C 3.671 -2.350 2.334
50 C 3.450 -2.532 0.976
51 C 2.619 -1.664 0.282
52 C 1.993 -0.542 0.870
53 H 4.233 2.872 2.777
54 H 2.758 3.143 1.814
55 H 3.629 1.588 1.685
56 H 1.895 2.592 3.764
57 H 4.119 0.766 4.266
58 H 2.743 1.030 5.376
59 H 3.853 2.378 4.984
60 H 0.830 1.202 2.365
61 H 1.100 0.384 3.915
62 H 3.155 -1.192 4.039
63 H 4.277 -3.044 2.901
64 H 3.888 -3.380 0.462
65 H 2.375 -1.921 -0.737
66 C -2.078 -4.413 -0.228
67 C -2.666 -3.326 -0.866
68 C -1.881 -2.365 -1.473
69 C -0.488 -2.466 -1.442
70 C 0.091 -3.568 -0.825
71 C -0.699 -4.539 -0.222
72 N 0.318 -1.399 -1.964
73 C 0.303 -1.420 -3.377
74 C -0.089 -2.566 -4.093
75 C -0.031 -2.605 -5.474
76 C 0.420 -1.516 -6.208
77 C 0.809 -0.376 -5.520
78 C 0.750 -0.329 -4.137
79 H -2.700 -5.160 0.245
80 H -3.743 -3.229 -0.893
81 H -2.339 -1.524 -1.979
82 H 1.166 -3.676 -0.829
83 H -0.228 -5.390 0.251
84 H -0.440 -3.445 -3.573
85 H -0.344 -3.510 -5.976
86 H 0.465 -1.554 -7.287
87 H 1.153 0.497 -6.056
88 H 1.029 0.593 -3.646

=====

Entry 4:
Density functional theory data (the ωB97M-V functional and the def2-TZVPD basis) for C16H14BrN5O5SSm as an isolated structure.

Output
Expectation value of S² = 8.757
Electronic energy = -4898.55907 Ha
HOMO-LUMO gap (spin up / spin down) = 0.267 / 0.267 Ha
=====

[What to do]
Quote only the lines further up with the word "Entry" in them.

[Here it is]
Entry 1:
Entry 2:
Entry 3:
Entry 4: